Uranus (ruler of Aquarius) is now at 22/23 degrees of Taurus
(committed to that sign since March 2019 and is staying in that sign to do his
work there till the end of April 2026). He travels through each specific sign
for 7 years, but only once every 84 years.
If you are born
around the 14th-16th of May, or the same dates in
November, August or February, you will be feeling this once every 84-year
influence in your life now, and on and off for about 1 year. re change, disruption,
or just plain awakenings that can be very liberating … the unexpected.
Globally, this
Uranian journey is showing us all very clearly now, the classic Uranus needed
alarm call of the trauma, shocks and upset to our earth, (Taurus), re. record
breaking heatwaves, wildfires and drought, because of our global inertia re
climate change.
Taurus not only
strongly connects to the power of Mother earth and nature… it also socially,
represents value systems and financial structures, and so the current economic/cost
of living crises are also of real significance now. Uranus also, as a result of shocks he brings,
is very much an awakening to the planet, to the urgent need for change and even
revolution, in the arena of these Taurean values. The old order, that needs revolution, is of
course always fought for retention by those with huge, vested interest in
traditional systems, not least the oil moguls and their industry… and of course
those parties in government who are economic beneficiaries of such sources.
Uranus points to
revolution, and of course, being the ruler of Aquarius, this connects to the
urgent implementation of new big picture values and certainly of technological
breakthroughs, which are essential for us to alleviate the clear threat to us
all…. Motive and value system is
VASP calculation (PBE) on a relaxed structure of PrB2Pt2C.

Results
Its uncorrected energy is -43.15 eV for the cell shown. The calculation puts the formation energy at -607 meV/atom.

a = 6.058 Å, b = 6.058 Å, c = 6.058 Å
α = 142.70°, β = 142.70°, γ = 53.77°
Atoms (fractional coordinates):
B (0.637, 0.637, 0.000)
B (0.363, 0.363, 0.000)
Pr (0.000, 0.000, 0.000)
Pt (0.750, 0.250, 0.500)
Pt (0.250, 0.750, 0.500)
C (0.500, 0.500, 0.000)

* * * * *

Entry 1:
Material: Pm2ZnRh
Method: DFT, PBE-GGA
State: optimized geometry Values from VASP.

Geometry as Quantum ESPRESSO input:
```
&SYSTEM
  ibrav = 0, nat = 4, ntyp = 3
/
ATOMIC_SPECIES
Pm 145.00 Pm.upf
Zn 65.41 Zn.upf
Rh 102.91 Rh.upf
CELL_PARAMETERS angstrom
0.000 3.592 3.592
3.592 0.000 3.592
3.592 3.592 0.000
ATOMIC_POSITIONS crystal
Pm 0.250 0.250 0.250
Pm 0.750 0.750 0.750
Zn 0.000 0.000 0.000
Rh 0.500 0.500 0.500
```

Values from the calculation:
Energy relative to the elements in eV/atom: -0.499
Symmetry: Fm-3m (225)
Total DFT energy (no corrections) in eV/atom: -5.031


Entry 2:
Material: PmSmRu2
Method: DFT, PBE-GGA
State: optimized geometry Values from VASP.

Geometry as Quantum ESPRESSO input:
```
&SYSTEM
  ibrav = 0, nat = 4, ntyp = 3
/
ATOMIC_SPECIES
Pm 145.00 Pm.upf
Sm 150.36 Sm.upf
Ru 101.07 Ru.upf
CELL_PARAMETERS angstrom
0.000 3.478 3.478
3.478 0.000 3.478
3.478 3.478 0.000
ATOMIC_POSITIONS crystal
Pm 0.500 0.500 0.500
Sm 0.000 0.000 0.000
Ru 0.250 0.250 0.250
Ru 0.750 0.750 0.750
```

Values from the calculation:
Energy relative to the elements in eV/atom: -0.142
Symmetry: Fm-3m (225)
Total DFT energy (no corrections) in eV/atom: -7.146


Entry 3:
Material: PmS
Method: DFT, PBE-GGA
State: optimized geometry Values from VASP.

Geometry as Quantum ESPRESSO input:
```
&SYSTEM
  ibrav = 0, nat = 4, ntyp = 2
/
ATOMIC_SPECIES
Pm 145.00 Pm.upf
S 32.06 S.upf
CELL_PARAMETERS angstrom
-1.973 1.973 10.629
1.973 -1.973 10.629
1.973 1.973 -10.629
ATOMIC_POSITIONS crystal
Pm 0.305 0.305 0.000
Pm 0.695 0.695 0.000
S 0.171 0.171 0.000
S 0.829 0.829 0.000
```

Values from the calculation:
Energy relative to the elements in eV/atom: -2.046
ΔE to the lowest computed polymorph in eV/atom: 0.238
Symmetry: I4/mmm (139)
Total DFT energy (no corrections) in eV/atom: -6.238


Entry 4:
Material: PmS2
Method: DFT, PBE-GGA
State: optimized geometry Values from VASP.

Geometry as Quantum ESPRESSO input:
```
&SYSTEM
  ibrav = 0, nat = 6, ntyp = 2
/
ATOMIC_SPECIES
Pm 145.00 Pm.upf
S 32.06 S.upf
CELL_PARAMETERS angstrom
-1.313 1.383 3.451
-0.169 -3.678 1.410
7.706 0.667 2.664
ATOMIC_POSITIONS crystal
Pm 0.000 0.500 0.725
Pm 0.500 0.000 0.275
S 0.000 0.000 0.000
S 0.500 0.500 0.000
S 0.000 0.500 0.367
S 0.500 0.000 0.633
```

Values from the calculation:
Energy relative to the elements in eV/atom: -2.005
ΔE to the lowest computed polymorph in eV/atom: 0.073
Symmetry: P4/nmm (129)
Total DFT energy (no corrections) in eV/atom: -6.011
everything of course, when it comes to technology … Hence the critical slow
transition we are now experiencing re Pluto, hovering over the coming
approximate 16 months, between the sign of Capricorn (old neo liberal
capitalist socioeconomic order) and the sign of the new very contrasting Aquarian
values. The long stays of Pluto in whatever sign he is in, are powerfully
embedding, in terms of the prevailing values of that period, particularly the
extreme ones, of those signs. Hence the current prolonged transition from one
sign to another, especially from Capricorn into Aquarius, is symbolising a
necessary birth of a vital new big picture, revolutionary, objective
concept/value system, of how society should now be ordered and driven. This is of course a total global challenge.
While we stick to the old order, we will not win the battle
re climate change, but equally the successful outcome of the new future we face
(Pluto in Aquarius) will very much rely on motive, re the inevitable
development of new technology. Will it be mainly driven by money /profit /power,
as an addiction to the value system of the old order, that refuses to be
dropped, or predominantly will it be for the greater good of all, in terms of our
survival? A far more necessary Aquarian value.
Pluto equals power
(think plutocracy /plutonium) but the most powerful significance of the use of
this Pluto power, lies in what the motive is behind its power. For the greater good, it can be magnificent,
but with selfish motive, it can be very dark and destructive. That is why there is so much controversy and
fear now re the power if AI, re who, and what motives direct it.
This is one of the
most critical moments in human history, as for the first time in human history,
our global survival is now totally dependent on the choice of value systems,
that are to be pursued on our planet. As I have implied before, it feels
increasingly like a global civil war of values.
Neptune, so powerful in
his own sign of Pisces now (2012- 2026) is certainly helping many to appreciate
and value nature, now, and this will be so true of most of the burgeoning
generation born during this period.
The outer planets
that stay in the same sign for years are generational in their power and
influence, and represents some fundamental inbuilt characteristics shared by that
generation, born within those years.
It’s in their planetary DNA. This influence gives them a common
experience of the world and therefore inbuilds their specific shared value systems.
The generation born with Neptune in Pisces (above dates) have a hugely sensitive
awareness of and passion for all Pisces issues, not least love of nature, and
particularly the sea… and indeed very much the arts. Many fine fighters for nature/beauty, and
performers/ musicians will be born within these Neptune in Pisces years. There is a natural spiritual drive to pursue
these areas of passion. Take note if you have a child/grandchild born during
this period.
Sensitivity is so
strong now and appreciation of the simplicity and beauty of the natural world
and its creatures is truly underlined. However, the power of depression and climate
despair, that is reportedly felt by many now, due to global issues and the dark
values that exist within powerful structures, is affecting many people’s
delicate mental health. We are nature.
The downside of this
powerful Neptune position is affecting some, by way of delusional idealism,
denial, and potentially misguided hero worship … and gullibility to conspiracy
Of course, added to
that, Saturn now in Pisces (March 2023-Feb 2026) is creating a serious reality
check for all, about the depressed state of nature and certainly is underscoring
anxieties and depression in people, often in a way that is hard to identify.
However, being a karmic schoolteacher, we must learn from Saturn. Wherever
Saturn is, is where there is a reality check and we must endure difficulties
and the lessons, they show us that we must learn, both globally and
Jupiter, still in Taurus,
(earth/security) from May 2023 for 12 months, is thank fully however, always a
boost to our appreciation of nature, and can bring some good news re its status
and value, as there is an increasing desire now, among so many of us, to focus
on working for its health and revival.
All this month Venus
remains retrograde in Leo till September 4th.
This indicates the need for people to stop and think /review relationships,
the direction of travel re the arts, as well as financial issues and interests (all
Venus’s areas of focus). Those areas are on hold, blocked and feel paralysed
during this period, but the message of retrograde planets is to pause, review
and reevaluate those issues and rethink these issues, rather than just to get
frustrated and angry. Of course, personally, the emphasis in your life is
influenced by the house position of Venus in your birth chart and what Venus
rules in your chart. Globally there is also often a review of the balance of
power and influence between the sexes and their roles in life, notably focused on
the media culture world (Leo).
Mercury, now in Virgo
(powerful in a sign that it rules)), moves retrograde on the 23rd…staying
in that mode till September 15th. Mercury represents mainly thought
process, communications and agreements. When retrograde, these are halted,
delayed, put on hold and frustrations and stasis abound, not least re blocked plans,
agreements and travel. Technological hiccups are also more likely. There
is frustration with all retrograde planetary motions, but its real function is
an opportunity during this period, to reevaluate plans, thoughts and communications,
and to understand the roots of the problems and face them constructively. Being
In Virgo, getting bogged down in detail is also likely... with loss of big
picture direction of travel. This focus on detail rather than big picture
importance, is emphasised also by Mars being in Virgo, most of the month.
Politicians are
indeed merely fiddling round the edges with their often useless so called climate
change driven policies. They just tick
boxes, as their economic priorities dominate. The massive, radical coordinated work
really needed, is being paid mild lip service only.
A values war is basically seriously dominating us all now,
between the old money driven order, and wisdom driven values, as is so clearly
indicated astrologically.
Mars moves from Virgo
into Libra on the 27th of August, where he stays till October 12th,
a time when positively there is a potential increased drive and desire to
incorporate fairness, balance, cooperation, sense of justice and some harmony
into our goals and drives, and especially to be more agreeable in negotiation…
globally and personally.
Days, for us all,
when some chaos is in the air and potentially eruptive events, are around the
15th when the Sun is square to Uranus. Around the 22/23rd when Mars
opposes Neptune and Venus squares Jupiter, there is very much a mood of unwise overreaching
and over promising, with a lot of deception/confusion in the air
simultaneously. The 27th when the Sun is opposed by Saturn can also be
a day when plans and directions of travel in life, get somewhat blocked by
difficult realities, that need to be faced.
Around the 25th,
when Mars trines Pluto there is however great potential for breakthroughs via
determination and focused power, but motive of course is everything.
The full Moon is on
the 1st at 9 degrees of Aquarius and the New Moon is on the 16th
at 23 degrees of Leo. The full Moon
brings culminations, eruptions of building emotions and endings, whereas the
New Moon is a potential for a new start/chapter.